Strategic planning forum draws few participants

_Misplaced records of crystals_
/*
No. 1
# N

N after structural relaxation (meta-GGA r2SCAN, Materials Project).

Lattice parameters (Å, degrees): 5.5605 5.5605 5.5605 90.00 90.00 90.00
Positions (direct):
N 0.9426 0.5574 0.4426
N 0.0574 0.4426 0.5574
N 0.0574 0.0574 0.0574
N 0.4426 0.9426 0.5574
N 0.5574 0.0574 0.4426
N 0.5574 0.4426 0.9426
N 0.9426 0.9426 0.9426
N 0.4426 0.5574 0.0574

Results
total magnetization	0.00	μB/cell

=====

No. 2
# Zr2Cd

Zr2Cd after structural relaxation (meta-GGA r2SCAN, Materials Project).

Lattice parameters (Å, degrees): 3.0905 3.0905 7.3305 102.10 102.10 90.16
Positions (direct):
Cd 0.0000 0.0000 0.0001
Zr 0.6691 0.6691 0.3377
Zr 0.3309 0.3309 0.6622

Results
total magnetization	0.00	μB/cell

=====

No. 3
# Ba2SiO4

Ba2SiO4 after structural relaxation (meta-GGA r2SCAN, Materials Project).

Lattice parameters (Å, degrees): 5.8278 7.5594 10.2839 90.00 90.00 90.00
Positions (direct):
O 0.0198 0.8065 0.8491
O 0.5198 0.1935 0.1509
O 0.9802 0.1935 0.1509
O 0.2500 0.0127 0.5839
O 0.7500 0.1927 0.9303
O 0.2500 0.8073 0.0697
O 0.5198 0.6935 0.3491
O 0.2500 0.3073 0.4303
O 0.7500 0.4873 0.0839
O 0.0198 0.3065 0.6509
O 0.7500 0.6927 0.5697
O 0.9802 0.6935 0.3491
O 0.4802 0.3065 0.6509
O 0.4802 0.8065 0.8491
O 0.7500 0.9873 0.4161
O 0.2500 0.5127 0.9161
Ba 0.7500 0.5081 0.8063
Ba 0.7500 0.3398 0.4149
Ba 0.7500 0.0081 0.6937
Ba 0.2500 0.4919 0.1937
Ba 0.7500 0.8398 0.0851
Ba 0.2500 0.1602 0.9149
Ba 0.2500 0.9919 0.3063
Ba 0.2500 0.6602 0.5851
Si 0.2500 0.2283 0.5801
Si 0.2500 0.7283 0.9199
Si 0.7500 0.7717 0.4199
Si 0.7500 0.2717 0.0801

Results
total magnetization	0.00	μB/cell

=====

No. 4
# Na3LuBr6

Na3LuBr6 after structural relaxation (meta-GGA r2SCAN, Materials Project).

Lattice parameters (Å, degrees): 7.6310 7.1031 12.7157 56.77 90.00 90.00
Positions (direct):
Na 0.5000 0.5000 0.0000
Na 0.0889 0.7060 0.7603
Na 0.0000 0.5000 0.5000
Na 0.9111 0.2940 0.2397
Na 0.4111 0.7060 0.2603
Na 0.5889 0.2940 0.7397
Lu 0.5000 0.0000 0.5000
Lu 0.0000 0.0000 0.0000
Br 0.3035 0.2451 0.9214
Br 0.6779 0.3801 0.4349
Br 0.4417 0.9052 0.7376
Br 0.0583 0.9052 0.2376
Br 0.6965 0.7549 0.0786
Br 0.3221 0.6199 0.5651
Br 0.8221 0.3801 0.9349
Br 0.5583 0.0948 0.2624
Br 0.9417 0.0948 0.7624
Br 0.8035 0.7549 0.5786
Br 0.1965 0.2451 0.4214
Br 0.1779 0.6199 0.0651

Results
total magnetization	0.00	μB/cell

=====

no.,energy relative to the elements (eV per atom)
1,0.002
2,-0.136
3,-3.225
4,-1.930

~~~~~

VASP calculation (PBE) on an optimized crystal structure of NdAl2Au2.

Calculated values
Energy   -45.086 eV per cell
Formation energy   -747 meV/atom
Crystal system   tetragonal

a b c (Å): 4.4632 4.4632 10.3817
angles (deg): 90.00 90.00 90.00
Space group P4/nmm (No. 129, origin choice 2)
Inequivalent atoms, fractional coordinates:
Nd: 0.2500 0.2500 0.2486 x2
Al: 0.2500 0.2500 0.8713 x2
Al: 0.2500 0.7500 0.5000 x2
Au: 0.2500 0.2500 0.6299 x2
Au: 0.2500 0.7500 0.0000 x2

~~~~~

Material: Li4Co3O7
Method: DFT, PBE with a Hubbard U
State: relaxed

Computed properties:
*/
_The entry goes on_

Jessa Franck

An open forum to discuss the direction of Iowa State in the future drew few participants, but a wealth of ideas.

ISU faculty, staff and students were invited to share their opinions at a meeting held by the Strategic Planning Committee on Thursday afternoon.

Committee member John Schuh, distinguished professor and chairman of educational leadership and policy studies, led the discussion. He said about 65 people attended the last forum, held March 26. The forum Thursday had fewer than 15 participants.

Schuh said the forums are a way for ISU affiliates to have their opinions, concerns and ideas for the future recognized. The ideas will be gathered and then presented to the president later this year, he said.

“Our goal is to have something in [ISU President Gregory] Geoffroy’s hands by the first of December,” Schuh said.

He presented the group with four questions and then asked for comments.

The questions were:

* What is your vision for Iowa State in the next five to 10 years?

* What do you perceive are the opportunities facing Iowa State in the next five to 10 years?

* What do you perceive are the challenges facing Iowa State in the next five to 10 years?

* What are likely to be the key issues facing Iowa State over the next five to 10 years?

Most of the responses dealt with Iowa State’s funding issues. Retaining and hiring faculty was another concern brought up by the group, which was made up of predominantly faculty members. The attendees also wanted the planning committee to figure out ways to promote the positives of Iowa State in the community and throughout the state.

Although many responses did not related to the question being posed, Schuh remained positive about the process.

“This [forum] is a time to collect information, not critique ideas,” Schuh said.

Scott Coleman, sophomore in computer engineering, attended the forum and said he thought the event was a good gesture.

“I think it’s a good idea that the university wants input from other people that aren’t part of the planning group. It was interesting for me to see what’s going on in the school,” Coleman said.

Schuh said despite the small number of participants, he thought the forum went well.

“We’ve got pages and pages of notes to funnel into the system. I think we had a nice conversation [between participants and committee members],” Schuh said.

• Inserted here: data records:
Density functional theory data (PBE) for crystalline NpFe4P12 at its relaxed geometry.

Cell lengths 6.7234, 6.7234, 6.7234 Å; angles 109.47, 109.47, 109.47 degrees
Closest atoms and distances in Å follow each position.
Fractional coordinates of all 17 atoms:
1 Np 0.0000 0.0000 0.0000  12 P 2.95
2 Fe 0.0000 0.0000 0.5000  6 P 2.22
3 Fe 0.0000 0.5000 0.0000  6 P 2.22
4 Fe 0.5000 0.0000 0.0000  6 P 2.22
5 Fe 0.5000 0.5000 0.5000  6 P 2.22
6 P 0.1513 0.3492 0.5005  2 Fe 2.22, 2 P 2.34-2.35
7 P 0.1513 0.6508 0.8022  2 Fe 2.22, 2 P 2.34-2.35
8 P 0.1978 0.8487 0.3492  2 Fe 2.22, 2 P 2.34-2.35
9 P 0.3492 0.1978 0.8487  2 Fe 2.22, 2 P 2.34-2.35
10 P 0.3492 0.5005 0.1513  2 Fe 2.22, 2 P 2.34-2.35
11 P 0.4995 0.8487 0.6508  2 Fe 2.22, 2 P 2.34-2.35
12 P 0.5005 0.1513 0.3492  2 Fe 2.22, 2 P 2.34-2.35
13 P 0.6508 0.4995 0.8487  2 Fe 2.22, 2 P 2.34-2.35
14 P 0.6508 0.8022 0.1513  2 Fe 2.22, 2 P 2.34-2.35
15 P 0.8022 0.1513 0.6508  2 Fe 2.22, 2 P 2.34-2.35
16 P 0.8487 0.3492 0.1978  2 Fe 2.22, 2 P 2.34-2.35
17 P 0.8487 0.6508 0.4995  2 Fe 2.22, 2 P 2.34-2.35

Summary:
ΔE_f = -0.57 eV/atom

----------

An optimized crystal structure of EuPd3. Source: Materials Project, functional PBE-GGA.

Cell lengths 4.1906, 4.1906, 4.1906 Å; angles 90.00, 90.00, 90.00 degrees
Closest atoms and distances in Å follow each position.
Space group Pm-3m (No. 221)
Asymmetric unit:
Eu (0.0000, 0.0000, 0.0000)  12 Pd 2.96
Pd (0.0000, 0.5000, 0.5000)  8 Pd 2.96, 4 Eu 2.96

Properties
ρ (Mg/m³): 10.63
Crystal system: cubic
Electronic total energy (eV/atom): -6.987

The committee will write drafts of the information it gathered, he said. The drafts will be presented by committee members to the groups they are affiliated with, such as the faculty and graduate student senates, he said.

Misplaced records of crystals:
A relaxed CsScBr3 crystal, computed with PBE.

## Properties
E (MP2020) ... -4.357 eV per atom
Calculated volume ... 168.39 Å³/f.u.
DFT total energy ... -4.037 eV per atom
ρ ... 4.118 g/cm³
Energy relative to the lowest polymorph listed for this composition ... 84 meV per atom

abc: 5.519 5.523 5.524
angles: 89.99 90.00 90.00
Positions (direct):
1 Br 0.000 0.003 0.488
2 Br 0.500 0.504 0.487
3 Br 0.000 0.499 0.986
4 Cs 0.500 0.999 0.994
5 Sc 0.000 0.503 0.485



A relaxed Cs2ScTlBr6 crystal, computed with PBE.

## Properties
E (MP2020) ... -3.971 eV per atom
Calculated volume ... 406.11 Å³/f.u.
DFT total energy ... -3.651 eV per atom
ρ ... 4.067 g/cm³

abc: 8.312 8.312 8.312
angles: 60.00 60.00 60.00
Positions (direct):
1 Br 0.773 0.227 0.773
2 Br 0.773 0.227 0.227
3 Br 0.773 0.773 0.227
4 Br 0.227 0.773 0.227
5 Br 0.227 0.773 0.773
6 Br 0.227 0.227 0.773
7 Tl 0.500 0.500 0.500
8 Sc 0.000 0.000 0.000
9 Cs 0.750 0.750 0.750
10 Cs 0.250 0.250 0.250



A relaxed CsSmBr3 crystal, computed with PBE.

## Properties
E (MP2020) ... -4.065 eV per atom
Calculated volume ... 195.15 Å³/f.u.
DFT total energy ... -3.744 eV per atom
ρ ... 4.450 g/cm³

abc: 8.013 8.362 11.650
angles: 90.00 90.00 90.00
Positions (direct):
1 Br 0.784 0.282 0.524
2 Br 0.284 0.218 0.024
3 Br 0.716 0.782 0.976
4 Br 0.552 0.500 0.250
5 Br 0.216 0.718 0.476
6 Br 0.716 0.782 0.524
7 Br 0.284 0.218 0.476
8 Br 0.052 0.000 0.750
9 Br 0.448 0.500 0.750
10 Br 0.784 0.282 0.976
11 Br 0.948 0.000 0.250
12 Br 0.216 0.718 0.024
13 Cs 0.971 0.555 0.750
14 Cs 0.471 0.945 0.250
15 Cs 0.529 0.055 0.750
16 Cs 0.029 0.445 0.250
17 Sm 0.500 0.500 0.000
18 Sm 0.500 0.500 0.500
19 Sm 0.000 0.000 0.000
20 Sm 0.000 0.000 0.500



A relaxed CsSnBr3 crystal, computed with PBE.

## Properties
E (MP2020) ... -3.519 eV per atom
Calculated volume ... 202.03 Å³/f.u.
DFT total energy ... -3.199 eV per atom
ρ ... 4.038 g/cm³

abc: 8.225 8.296 11.843
angles: 90.00 90.00 90.00
Positions (direct):
1 Br 0.706 0.706 0.025
2 Br 0.794 0.206 0.025
3 Br 0.294 0.294 0.975
4 Br 0.794 0.206 0.475
5 Br 0.952 0.493 0.750
6 Br 0.452 0.007 0.250
7 Br 0.206 0.794 0.525
8 Br 0.206 0.794 0.975
9 Br 0.548 0.993 0.750
10 Br 0.294 0.294 0.525
11 Br 0.048 0.507 0.250
12 Br 0.706 0.706 0.475
13 Sn 0.500 0.000 0.500
14 Sn 0.500 0.000 0.000
15 Sn 0.000 0.500 0.000
16 Sn 0.000 0.500 0.500
17 Cs 0.492 0.533 0.750
18 Cs 0.508 0.467 0.250
19 Cs 0.008 0.033 0.750
20 Cs 0.992 0.967 0.250



A relaxed CsSnBr3 crystal, computed with PBE.

## Properties
E (MP2020) ... -3.527 eV per atom
Calculated volume ... 203.92 Å³/f.u.
DFT total energy ... -3.206 eV per atom
ρ ... 4.001 g/cm³

abc: 5.886 5.886 5.886
angles: 90.00 90.00 90.00
Positions (direct):
1 Br 0.500 0.500 0.000
2 Br 0.500 0.000 0.500
3 Br 0.000 0.500 0.500
4 Cs 0.000 0.000 0.000
5 Sn 0.500 0.500 0.500



A relaxed CsSn2Br5 crystal, computed with PBE.

## Properties
E (MP2020) ... -3.536 eV per atom
Calculated volume ... 299.16 Å³/f.u.
DFT total energy ... -3.202 eV per atom

Schuh said any person still interested in giving the committee input could visit the Web site

“We are interested in everyone’s opinion,” Schuh said.